Hunter Biden’s Laptops Scandal Exposes How Communist Influence Operations Work

Hunter Biden’s abandoned laptop revealed much information, including Hunter’s shady business dealings in Ukraine and China, raising questions about the extent to which President Biden was involved in his son’s business activities. This ongoing scandal lifted the curtain of foreign governments’ covert influence campaigns in the United States. No government has conducted such influence campaigns more effectively than Communist China.

To understand China’s influence campaigns on foreign soil, one has to get familiar with a secretive Chinese government agency, the United Front Work Department (UFWD), or United Front. The Chinese Communist Party (CCP) established UFWD in the 1930s, aiming to recruit famous intellectuals, writers, teachers, students, publishers, and business leaders who were not necessarily Communists. 

These recruits promoted the CCP’s agenda, influenced public opinion in favor of the CCP in territory ruled by the Nationalist Party, and helped the CCP secure the weapons, medicine, and other resources to overthrow the Nationalist-led government. Then-CCP leader Mao Zedong called the United Front a “magic weapon” for the CCP. 

When Xi Jinping came to power in late 2012, he greatly expanded the UFWD and elevated the UFWD’s status by having a politburo member, Ms. Sun Chunlan, head the UFWD. Today, the UFWD’s headquarters in Beijing is located in an unmarked but heavily guarded building next to the CCP’s leadership compound. This location says the highest power in the nation directly endorses its mission and strategy.

UFWD workers are assigned to many government branches inside and outside China, including almost all Chinese embassies, which now include staff formally working with United Front. The UFWD is tasked with helping the CCP aggressively and yet covertly dictate its messages and narratives about China. UFWD’s goal is to gather information and either win over or co-opt support for the CCP. It is to attack and neutralize potential dissent and opposition inside and outside China.

Influencing the Influencers

The UFWD’s overseas influence campaigns rely on various methods, including establishing Confucius Institutes and controlling Chinese Students and Scholars Associations on college campuses in the west. But one of its most effective methods is to cultivate politicians, prominent business people, and well-known intellectuals in the west as “friends of China.”

These “friends” then influence policies and public opinion in their home countries to favor China, while trying to minimize harm to China and silence any criticism of the CCP. This approach is called “influencing the influencers.”

The UFWD’s process of cultivating “friends” usually involves several tactics. UFWD knows how to make them feel important through excessive flattery, lavish trips to China, and access to high-level Chinese government officials. For foreign business elites and families of prominent foreign politicians, the UFWD has made sure they were rewarded financially either through bribes or preferential business terms.

John Kerry and Henry Kissinger Connections

Isaac Stone Fish, a visiting fellow at the Atlantic Council and author of “America Second,” recently wrote that one of the most influential “friends of China” the UFWD has painstakingly cultivated is Henry Kissinger, former national security advisor and secretary of the State under Presidents Richard Nixon and Gerald Ford. Even though he retired from his government post long ago, whenever Kissinger traveled to China, he was always granted an audience with China’s top leader.

According to Fish, Kissinger has been “actively dampening criticism of the [Chinese Communist] Party amongst his massive network.” For example, Kissinger suggested the George H.W. Bush administration take “a lighter response to the June 1989 Tiananmen Square massacre.” Kissinger was also reportedly “convinced the Trump administration not to meet with the Dalai Lama — Trump was the first president since Reagan to not meet with the Tibetan spiritual leader.”

The Chinese government has also been cultivating relationships with family members of other prominent U.S. politicians. For example, Chinese companies, including some large state-owned enterprises such as the Bank of China (BOC), funded 80 percent of the Bohai Harvest RST (BHR) investment fund, which was partly owned and directed by Hunter Biden and Chris Heinz, the stepson of former Secretary of State John Kerry, through their private equity fund, Rosemont Seneca Partners.

The Chinese government authorities approved the deal to establish the fund after Hunter Biden traveled to China with then-Vice President Joe Biden in 2013. China’s apparent motive was to buy influence in the United States through the children of two of the most prominent officials in the Obama administration.

Beijing’s investment in BHR soon paid off. In 2015, the fund played a crucial role in securing approval by the Obama administration and the Committee on Foreign Investment in the United States (CFIUS) for the sale of the Michigan-based Henniges Automotive to one of China’s leading military aircraft makers, the Aviation Industry Corporation of China (AVIC). 

Wall Street Influence

In addition to prominent politicians and their families, foreign business elites are also targets of UFWD’s foreign influence campaign. Former Attorney General William Barr criticized American businesses from tech companies to Hollywood for becoming “pawns of Chinese influence.” Probably no other sector has been more influenced by Beijing than Wall Street. 

A China sovereign wealth fund, China Investment Corp (CIC), invested $3 billion in funding for Blackstone Group’s initial public offering in 2007. The Chinese government approved BlackRock, another Wall Street firm, to start a private-fund business in China in 2017. BlackRock’s CEO Larry Fink received an award from the National Committee on United States-China Relations a year later, with Kissinger and Chinese Ambassador Cui Tiankai in the audience.

Not surprisingly, Blackstone CEO Stephen Schwartzman and Fink have been the most vocal cheerleaders for Beijing on Wall Street. Schwarzman set up a Schwarzman Scholars program at Tsinghua University, one of the most prestigious universities in China, working closely with Chen Xu, the CCP secretary at Tsinghua. Chen later became the deputy head of UFWD. 

On behalf of Beijing, Fink lobbied index provider MSCI to include shares of Chinese companies traded on mainland China exchanges in its emerging-market index. Some investors were against such an inclusion, concerned about the lack of transparency in Chinese companies and the Chinese government’s strict capital control. BlackRock also offered its full support when Hong Kong-traded Chinese companies proposed to require their boards to “seek advice on major decisions from Communist Party committees,” according to the Wall Street Journal. 

During President Trump’s first term, the Chinese government turned to Schwartzman, Fink, and other CEOs of large Wall Street firms for help during the U.S.- China trade negotiations, promising to reward their efforts with more expansion of their firms in China. 

Mutually Beneficial Influence Peddling

### Attached: materials data
- - -
Material: CeTh4O10
Method: DFT, PBE
State: optimized geometry

```
15
Lattice="11.2885 8.6670 0.6734 7.6776 11.7926 -2.2338 -10.4601 -9.1423 3.1630" Properties=species:S:1:pos:R:3 pbc="T T T"
O 3.2432 2.8141 1.6854
O 3.3503 6.4400 0.0745
O -0.4684 2.3207 0.3887
O 5.2628 8.5032 -0.0828
O 5.1557 4.8772 1.5281
O 1.3371 0.7578 1.8423
O 7.1689 10.5594 -0.2396
O 7.0683 6.9404 1.3707
O 1.4377 4.3769 0.2319
O 8.9744 8.9966 1.2139
Th 7.6110 8.2104 -0.6262
Th 11.3551 12.2493 -0.9342
Th 3.7859 4.0840 -0.3115
Th 15.1802 16.3756 -1.2489
Ce 0.0000 0.0000 0.0000
```

Computed properties:
Uncorrected energy   -0.69736 Ry per atom
Space-group type   I4/mmm (139)
M_tot   0.0000 μB/atom
D(E_F)   0.000 states/eV/atom
Uncorrected formation energy   -3808 meV per atom



Material: LaPm3Sm4S8
Method: DFT, PBE
State: optimized geometry

```
16
Lattice="-4.8858 -6.0902 -2.0557 6.4302 -4.6435 -1.5256 -0.7911 3.5543 7.2053" Properties=species:S:1:pos:R:3 pbc="T T T"
Pm 0.3767 -3.5898 1.8120
Pm 0.7722 -5.3669 -1.7906
Pm 2.8196 -0.5446 2.8398
Sm -2.8384 -1.2680 2.5748
Sm -0.3955 1.7771 3.6026
Sm 0.0000 0.0000 0.0000
Sm -2.4429 -3.0451 -1.0279
S 3.6158 -5.0430 -1.6607
S -0.0201 -0.8956 2.7010
S -2.8625 -2.1365 5.2847
S 0.7735 -6.2839 0.9230
S 3.2163 -3.2480 1.9783
S -0.4442 0.8779 6.3022
S -2.4629 -3.9315 1.6456
S 1.1975 -8.0575 -2.6782
La 3.2151 -2.3218 -0.7628
```

Computed properties:
Uncorrected energy   -0.47656 Ry per atom
Space-group type   R-3m (166)
M_tot   0.0000 μB/atom
D(E_F)   0.574 states/eV/atom
Uncorrected formation energy   -2042 meV per atom



Material: LaTbPr2Ho2
Method: DFT, PBE
State: optimized geometry

```
12
Lattice="-5.5971 1.2337 0.0525 -1.8341 -8.0854 -5.5446 -0.7968 -3.8660 5.9012" Properties=species:S:1:pos:R:3 pbc="T T T"
Ho -1.4217 -6.3556 -2.2247
Ho -3.3040 -1.7001 0.5799
Ho -4.9240 -9.0177 -0.1708
Ho -1.2092 -5.5958 2.5814
La 0.0000 0.0000 0.0000
La -4.1140 -5.3589 0.2046
Pr -0.8085 -3.6517 -0.3880
Pr -3.6998 -3.6204 3.5129
Pr -1.8224 -8.2997 0.7446
Pr -4.5282 -7.0973 -3.1038
Tb -3.7156 -3.4258 -2.7460
Tb -0.3984 -1.9330 2.9506
```

Computed properties:
Uncorrected energy   -0.34176 Ry per atom
Formation energy   62 meV per atom
Space-group type   Pnnm (58)
M_tot   0.0000 μB/atom
D(E_F)   1.530 states/eV/atom

=====

This record from the Alexandria database describes a relaxed Y3CoBi crystal. The functional is PBE.

energy relative to the elements = -0.341 eV per atom
excess energy over the best structure of this formula in the dataset = 113.1 meV/atom
total energy = -0.236 Ha/atom

Cell: 5.1882 5.1882 5.1882 Å, 90.00 90.00 90.00°
With the nearest neighbours (Å) after each atom.
Fractional positions:
Y (0.0000, 0.0000, 0.5000)  2 Co 2.59
Y (0.0000, 0.5000, 0.0000)  2 Co 2.59
Y (0.5000, 0.0000, 0.0000)  2 Co 2.59
Co (0.0000, 0.0000, 0.0000)  6 Y 2.59
Bi (0.5000, 0.5000, 0.5000)  12 Y 3.67

=====

DFT (GGA-PBE) results for a relaxed structure of Ce5Ge5Pt2.

Cell: 4.226 7.902 8.794 Å, 83.36 76.10 74.49°
- - -
### The page goes on

In addition to lobbying, Wall Street firms such as BlackRock have also channeled billions of dollars into Chinese companies. Some of the companies they funded are allegedly either involved in human rights abuses of Uyghur Muslims or have close ties with the Chinese military, presenting a threat to U.S. national security. 

In his piece about Kissinger being played by China, Fish stated the UFWD’s overseas influence campaigns have been so successful that some western politicians and business elites who became “agents” of the CCP don’t even know they are agents of the CCP. 

One way to address China’s overseas influence campaign is to enforce the Foreign Agents Registration Act (FARA), requiring “those acting as the agents of foreign principals to publicly disclose that relationship and their political or other similar activities by registering with the Justice Department.” But doing so may upset some very rich and famous American elites. Therefore, whether the Biden administration’s Department of Justice has the political will to do so remains to be seen.

Source: The Federalist


Source: InfoArmed